Cultural clubs’ history

During the second half of the 19th century, several institutions were established in Galaţi with the aim of strengthening and spreading cultural values. The activity of imparting knowledge through public conferences and lectures began after the foundation of “The Romanian Athenaeum Society” in Bucharest (1865), followed by a similar initiative of local teacher C. Troteanu, who gave Sunday lectures open to people at Primary School No. 1[1]. Similar preoccupations intensified after the foundation of the Galaţi branch of “The Society for the Education of the Romanian People”. Established in 1866, this section organised a school for adults[2].
“The Society of the Didactic Staff” from Covurlui County, founded in April 1883, gathered the local cultural elite (Ion Cetăţianu, Alexandru Nicolescu, Romulus Scriban, etc), and aimed to organise public lectures and to present scientific and literary conferences. A similar institution was “The Didactic Circle of All Educators from Galaţi”, established in 1903 at the initiative of teachers August Frăţilă and Al. Nicolescu[3].
An important contribution to the enlightenment of the local community belonged to “The Athenaeum of Galaţi”, founded in November 1891, at the initiative of teachers Al. Nicolescu and Gh. Adamescu. The Athenaeum organised conferences on various topics[4]. With the rapid spread of socialist ideas among local workers, a “Workers’ Club” was founded, where leftist intellectuals gave lectures during the public meetings held every Sunday. These activities continued in the framework of the cultural circle “România muncitoare” (Hard–Working Romania)[5].
“The Cultural Circle of Galaţi” was founded in January 1907, aiming to support “any worthy manifestation of Romanian literature and art” and to educate “the taste for arts and science”. It was divided into three sections: the athenaeum section, chaired by August Frăţilă and Corneliu Botez, the popular academy section, guided by M. Pastia and Florian Ştefănescu-Goangă, and the section for literary soirees. The circle had 123 founding members, and the first chairman was M. Beştelei. The society organised public conferences at Papadopol Theatre and was actively involved in placing at Galaţi a statue of the Romanian national poet Mihai Eminescu. In the years to come, the Cultural Circle limited its activity and remained a simple “literary saloon”[6].
“Cuza Vodă Cultural Society” was founded at the beginning of 1909 by a group of young men interested to disseminate Romanian culture within the lower social categories. It founded a library and established a choir, and the weekly public conferences proved a great success. The “Sentinela Dunării de Jos” [The Sentinel of the Lower Danube] (1906) contributed to the dissemination of music and sports, whilst “Dorul” [Yearning] Literary Circle was founded in 1912.
An important cultural institution was “The Association for the Galaţi Open University” (Asociaţiunea Universităţii Populare din Galaţi), founded in November 1913, in accordance with the charter drafted by C. Z. Buzdugan. Its aim was “to popularise sciences, letters and arts” through public courses, lectures and conferences. The managing board also assumed the obligation to support the activity of the schools for adults[7].
The Sunday conferences held at “Sf. Împăraţi Cultural House” were inaugurated in 1908 by priest Ludovic Cosma. Conferences on theological, moral, and historical topics were also held at the “Solidarity Society”, founded in October 1902 with the support of Bishop Pimen Georgescu[8].
There also existed at Galaţi private clubs for the local elite, such as “Intim Club”, “The Central Club”, “The Conservative Club” or “The Military Club”, whose purposes were both social and cultural[9]. Other cultural institutions were the “Orphaeus Musical Society” created in 1864, which had 60 members a quarter century later. In 1888 the “Harpa Musical Society” was established with 25–30 members[10].
The “Transylvania” Society, founded in 1867, for supporting the Romanian national cause was also subsidised from Galaţi both by the municipal authorities and by private benefactors. The same support was given to the “Carpathians” Society, with a similar purpose (1882). The “Prutul” Society, founded in 1885, was to defend the Romanian culture in Russian Bessarabia, whereas “The Cultural League for the Unity of All Romanians” was extremely active at Galaţi since its establishment[11].
[1] Paul Păltănea, Istoria oraşului Galaţi de la origini până la 1918, second edition, edited by Eugen Drăgoi (Galaţi: Partener Publishing House, 2008), vol. II, 331.
[2] Ibid.
[3] Ibid., 332; also see Statutele Societăţii Corpului Didactic din judeţul Covurlui (Galaţi: Tipo–Litografia Modernă, 1883).
[4] Alexandru Nicolescu, “Mişcarea culturală la Galaţi”, Moldova de Jos, 2 (1929–1930); Maria Itu, Elena Potorac, “Pagini din istoria ateneelor populare gălăţene”, Danubius, 5 (1971), 317–330; Păltănea, Istoria, 332.
[5] Ibid., 333.
[6] Cercul Cultural din Galaţi. Statute (Galaţi: s.e., 1907). Păltănea, Istoria, 333–334.
[7] Ibid., 335–336.
## Inserted here: quantum chemistry results
- - -
1.
6 unconnected molecules or ions with the total composition C6H22O5. Source: the OMol25 dataset; level of theory: ωB97M-V/def2-TZVPD.

Atoms and positions in Å:
C: -1.95171 -1.16008 -1.87791
C: -1.53357 0.20155 -1.44909
C: -0.38542 0.32025 -0.75831
C: 0.47269 1.44511 -0.26264
C: 1.74239 0.87950 0.32413
C: 2.90090 0.70347 -0.63743
H: -2.42209 -1.58266 -0.96897
H: -1.09240 -1.77132 -2.11015
H: -2.46176 -1.26727 -2.84151
H: -2.10232 1.12347 -1.75174
H: -0.02368 -0.68214 -0.44087
H: 0.66054 2.07785 -1.15345
H: -0.09729 2.16917 0.34038
H: 2.11356 1.51538 1.15678
H: 1.53927 -0.02099 0.93951
H: 3.11215 1.56325 -1.25505
H: 2.55344 -0.17852 -1.19707
H: 3.83076 0.43318 -0.14002
O: 0.74732 -2.62126 0.15088
H: 0.40268 -2.78605 1.06451
H: 1.21699 -3.48137 -0.10199
O: -1.40438 1.77775 2.94770
H: -2.18484 1.30849 2.65254
H: -1.51779 1.79514 3.89357
O: 1.31031 -1.09016 2.81031
H: 1.52926 -0.16652 2.66758
H: 1.23756 -1.26390 3.76044
O: 0.52169 -0.20313 -3.46906
H: 0.76624 -0.28980 -2.57435
H: 1.13184 -0.69901 -4.01852
O: -3.58185 0.67931 1.80490
H: -4.17148 1.03854 1.12773
H: -2.85901 0.23280 1.36719

Properties
- SMILES: C/C=C/CCC.O.O.O.O.O
- Charge: 0
- Energy above the lowest of the compared OMol25 structures with the same formula, charge and spin: 184.3 kJ/mol
- Kohn-Sham gap: 9.085 eV
- LUMO level: 0.5 eV
- Electronic energy: -16814.715 eV

2.
6 unconnected molecules or ions with the total composition C6H22O6. Source: the OMol25 dataset; level of theory: ωB97M-V/def2-TZVPD.

Atoms and positions in Å:
C: -1.57691 1.36421 2.39471
C: -0.14480 0.91766 2.63512
C: -0.02423 -0.60126 2.81412
C: -0.27241 -1.41868 1.53866
C: 0.71421 -1.11470 0.38601
C: 2.12113 -1.13213 0.88264
O: 2.91597 -0.22454 0.73347
H: -1.63608 2.44348 2.21251
H: -2.23850 1.15457 3.23850
H: -2.01509 0.89931 1.51607
H: 0.25535 1.43597 3.51484
H: 0.48233 1.23970 1.80144
H: -0.76437 -0.93756 3.54895
H: 0.96636 -0.83921 3.22704
H: -1.27696 -1.20711 1.15549
H: -0.23942 -2.48391 1.78395
H: 0.58023 -1.83412 -0.42445
H: 0.43643 -0.15164 -0.03643
H: 2.46528 -2.01598 1.45034
O: 1.96094 2.07018 -0.42306
H: 2.35723 1.28733 0.03066
H: 2.69702 2.66538 -0.64056
O: 0.88928 -0.81989 -3.50251
H: 1.15198 -0.63990 -4.40686
H: 0.71187 0.09435 -3.12965
O: 0.22258 1.56094 -2.49785
H: 0.82362 1.80878 -1.75609
H: -0.66055 1.32648 -2.13469
O: -2.18615 0.46038 -1.80206
H: -2.88275 0.92811 -2.29300
H: -2.07271 -0.40934 -2.25480
O: -1.59926 -1.75603 -3.28064
H: -0.66412 -1.46031 -3.44546
H: -1.49749 -2.61054 -2.83643

Properties
- SMILES: CCCCCC=O.O.O.O.O.O
- Charge: 0
- Energy above the lowest of the compared OMol25 structures with the same formula, charge and spin: 0.0 kJ/mol
- Kohn-Sham gap: 11.040 eV
- LUMO level: 0.6 eV
- Electronic energy: -18864.992 eV

3.
A molecular structure, C6H23B2CsN. Source: the OMol25 dataset; level of theory: ωB97M-V/def2-TZVPD.

Atoms and positions in Å:
Cs: -1.39825 1.11600 1.67068
B: 0.62652 0.29163 4.34972
H: 1.34946 -0.25995 3.61454
H: 0.85611 1.43264 4.27856
- - -
[8] Ibid., 336; Details in Ludovic Cosma, Istoricul Bisericii şi Parohiei „Sf. Împăraţi” din Galaţi (1857–1927) (Galaţi: Tipografia Cultura Poporului, 1927).
[9] Statutele Clubului Central din Galaţi (Galaţi: Tipografia Ion Nebuneli, 1894).
[10] Elena Mihai, “Viaţa muzicală şi teatrală a Galaţiului în ziarele ‘Vocea Covurluiului’ şi ‘Poşta’ între anii 1875–1888”, 100 de ani de la înfiinţarea primei biblioteci publice din judeţul Galaţi. Volum jubiliar (Galaţi: s.e., 1974), 238.
[11] C. Gh. Marinescu, “Aportul societăţilor ‘Carpaţi’ şi ‘Liga Culturală’ din Galaţi la lupta pentru unirea Transilvaniei cu România”, Danubius, 6–7 (1972–1973), 227–241; Păltănea, Istoria, II, 248–255.
Archival sources:
Serviciul Judeţean Galaţi al Arhivelor Naţionale (The National Archives, Galaţi Branch), Primăria oraşului Galaţi (The Municipality of Galaţi), files starting with 1831.
Cercul Cultural din Galaţi. Statute [The Cultural Circle of Galaţi. Statutes] (Galaţi: s.e., 1907).
Cosma, Ludovic, Istoricul Bisericii şi Parohiei „Sf. Împăraţi” din Galaţi (1857–1927) [The History of the “Sf. Împăraţi” Church and Parish (1857–1927)] (Galaţi: Tipografia Cultura Poporului, 1927).
Itu, Maria, Potorac, Elena, “Pagini din istoria ateneelor populare gălăţene” [Pages from the History of the Popular Athenaeums of Galaţi], Danubius, 5 (1971), 317–330.
Marinescu, C. Gh., “Aportul societăţilor ‘Carpaţi’ şi ‘Liga Culturală’ din Galaţi la lupta pentru unirea Transilvaniei cu România” [The Contribution of the Galaţi branches of “Carpaţi” and “Liga Culturală” Societies to the Struggle for the Unification of Transylvania to Romania], Danubius, 6–7 (1972–1973), 227–241.
# The entry is interrupted by quantum chemistry results
┌──
1.
107
Properties=species:S:1:pos:R:3:mulliken_charge:R:1 method="wB97M-V/def2-TZVPD" multiplicity=1 fmax_ev_per_a=7.7 homo_lumo_gap_ev=8.1 smiles="CCC[C@H]1[C@H](CCCO)S(=O)(=O)O[C@@](CCCCCCCCOC(C)=O)(N=C=S)[C@@]1(F)CCCCS(=O)(=O)O.Fc1ccccc1.Fc1ccccc1" homo_energy_ev=-8.8545
C 2.70450 1.71835 3.49031 -0.8670
C 3.78999 2.40760 2.50204 -0.6485
C 2.95907 3.21379 1.34496 -0.0020
C 3.21957 2.67327 -0.12295 -1.5811
C 2.65607 1.16770 -0.25809 -0.0910
C 3.43363 0.25489 -1.31377 -0.9408
C 2.96712 -1.30608 -1.28062 -0.5514
C 2.98873 -1.97191 -2.75870 -0.4865
O 2.00495 -3.03091 -2.89175 -0.5281
S 0.83308 1.31292 -0.49782 0.6411
O 0.23747 0.26091 -1.41690 0.0044
O 0.18702 1.05143 0.85636 -0.6667
O 0.48138 2.87325 -0.88267 -0.4012
C 1.33757 3.44991 -1.94035 0.0775
C 1.29045 2.53386 -3.28519 -0.4195
C -0.23805 2.32702 -3.80505 -0.7220
C -0.38387 0.87145 -4.51042 -0.2120
C -1.78285 0.16960 -4.17230 -0.8444
C -1.66633 -1.38837 -3.78751 0.0928
C -3.16400 -1.85458 -3.35330 -1.0443
C -3.20899 -2.60652 -1.94295 -0.3997
C -2.51100 -1.81246 -0.73755 0.2423
O -3.36387 -1.74052 0.47061 -0.4156
C -2.62676 -1.12774 1.53633 0.8169
C -3.14124 0.23663 2.21722 -0.9517
O -1.54406 -1.59891 1.96924 -0.5424
N 0.56127 4.67382 -2.29560 -0.1002
C 1.00342 5.33525 -3.28232 0.2545
S 1.50154 5.99942 -4.72802 -0.1869
C 2.79556 3.65728 -1.34193 2.1837
F 3.67510 3.15784 -2.42406 -0.4803
C 3.35283 5.09913 -1.05134 -1.7399
C 2.46835 6.25643 -0.45448 -1.1376
C 1.27616 5.94293 0.53350 0.5994
C 0.40799 7.32434 0.68350 -0.7497
S -1.41329 7.06536 0.48804 1.1571
O -1.98516 6.39660 1.72100 -0.6040
O -2.03657 8.44640 0.42072 -0.6512
O -1.78683 6.25548 -0.92894 -0.3864
H 3.21666 1.05018 4.27833 0.3613
H 1.98486 2.47365 3.94425 0.2861
H 2.07205 1.00107 2.84623 0.1311
H 4.31072 1.54708 1.95318 0.3099
H 4.50872 3.09279 3.05868 0.3432
H 1.84417 3.12930 1.63592 0.1842
H 3.23594 4.30638 1.53329 0.2727
H 4.36653 2.57039 -0.22674 0.5617
H 2.79029 0.62142 0.74984 0.3096
H 4.52824 0.22293 -0.94338 0.4489
H 3.48782 0.66434 -2.37131 0.3234
H 1.98550 -1.46695 -0.73088 0.1881
H 3.75952 -1.89994 -0.68608 0.5138
H 2.86776 -1.11679 -3.50393 0.2728
H 4.01463 -2.46829 -2.95101 0.3025
H 2.08419 -3.31554 -3.83373 0.3181
H 1.89607 2.96141 -4.14665 0.7174
H 1.68654 1.47921 -3.12826 -0.4781
H -0.46829 3.08374 -4.64473 0.3293
H -0.98897 2.41289 -2.94178 0.2346
H -0.29738 1.00769 -5.64813 0.5313
H 0.44280 0.14688 -4.20981 -0.0667
H -2.52159 0.27886 -5.03720 0.3687
H -2.27110 0.68522 -3.26707 0.2480
H -1.30551 -1.99037 -4.70249 0.4151
H -0.93963 -1.54414 -2.92530 -0.0953
H -3.61080 -2.51878 -4.16290 0.3234
H -3.81738 -0.90565 -3.28967 0.3739
H -4.32034 -2.71552 -1.65927 0.1913
H -2.80588 -3.67219 -2.01882 0.2710
H -1.60165 -2.44090 -0.41618 0.2220
H -2.17302 -0.75968 -1.02767 -0.1075
H -4.21064 0.13099 2.60061 0.3319
H -2.48752 0.45354 3.13418 0.3086
H -3.03140 1.12369 1.50576 0.1674
H 4.27002 4.97069 -0.35874 0.4642
H 3.81763 5.49855 -2.03192 0.3986
H 3.17067 6.99959 0.08534 0.3226
H 2.03640 6.87496 -1.32954 0.4934
└──
# Here the entry continues
Mihai, Elena, “Viaţa muzicală şi teatrală a Galaţiului în ziarele ‘Vocea Covurluiului’ şi ‘Poşta’ între anii 1875–1888” [The Musical and Theatrical Life of Galaţi in the Newspapers ‘Vocea Covurluiului’ and ‘Poşta’ between the years 1875 and 1888], 100 de ani de la înfiinţarea primei biblioteci publice din judeţul Galaţi. Volum jubiliar [100 Years Since the Founding of the First Public Library from Galaţi County] (Galaţi: s.e., 1974).
Nicolescu, Alexandru, “Mişcarea culturală la Galaţi” [The Cultural Movement at Galaţi], Moldova de Jos, 2 (1929–1930)
Pacu, Moise N., Cartea Judeţului Covurlui. Note geografice, istorice şi în deosebi statistice [The Book of Covurlui County. Geographical, Historical and Mainly Statistical Notes] (Bucharest: Stabilimentul Grafic I. V. Socecu, 1891).
Păltănea, Paul, Istoria oraşului Galaţi de la origini până la 1918 [The History of Galaţi from Its Beginnings to 1918], second edition, edited by Eugen Drăgoi (Galaţi: Editura Partener, 2008).
Statutele Clubului Central din Galaţi [The Statutes of the Central Club of Galaţi] (Galaţi: Tipografia Ion Nebuneli, 1894).
Statutele Societăţii Corpului Didactic din judeţul Covurlui [The Statutes of the Society of the Didactic Staff in Covurlui County] (Galaţi: Tipo–Litografia Modernă, 1883).